We Are...Family Mini
Hello Simple Stories fans!
I couldn't wait to dig into the new We Are...Family collection!! I love mini albums, and it had been awhile since I'd whipped one together. This one came together in about an hour thanks to the handy pre-cut 4x6 booklet that comes in the Interactive Elements. Pages already stapled together with die cut edges were calling out to me...so I gave in. ;)
I love that all you have to do is add photos and embellishments in this little pocket album...that's the fun part, right?! My family and I had taken a last minute day trip to Niagara Falls (without checking the weather forecast) so I knew this would be perfect to house just a few photos + the story. The woodgrain alphabet in the collection didn't stand out against the woodgrain cover so I grabbed my gold Sharpie marker and switched them up a bit.
It dries almost instantly and looks great! :)
Inside the first page I added a 3x4 card from the Sn@p! set to the right side and heat embossed one of the smaller 'girl' wood veneer pieces with gold metallic powder...we are a family of three, after all. ;) On the left side I used half of one of the chipboard frames to kind of foretell the theme of the album...the weather we had was unfortunate, but we had a great time together regardless.
Each page comes with an image or phrase, so I just added a few details here and there. We spent the afternoon at the outlet mall (trying to convince ourselves that the torrential rain would wear itself out), and found some awesome deals to save for back to school time. Our daughter scored an insane steal on this purse and it was fun to document her first 'real' purchase from her summer job. A washi tape strip here and there paired with a few enamel dots + the flat backed brad were all that was needed to wrap this page up.
The next page sums up the ridiculousness of the entire day, lol. It was STILL pouring with sideways rain after we had dinner, but we barreled through the bad weather and stopped by Niagara Falls despite the grey day. We stopped at a gift shop to grab a few ponchos, and sported the Canadian maple leaf all over town. We were on the U.S. side of the Falls, and so many folks told us we were troopers to brave the weather since we were 'visitors'...rather than correct them, we just went with the flow. :)
- - -
(1)
This entry pairs a crystal structure of SrGa2Ge2O8 with its calculated powder XRD pattern. Radiation: Cu Ka. Structure: a crystal structure in the Materials Project, relaxed with PBE.

Largest 10 diffraction maxima, by angle, 10 to 90 degrees two-theta:
Position (°2θ), I (rel.)
20.43, 80.3
21.55, 38.7
21.70, 48.7
22.92, 64.8
26.40, 100.0
29.00, 57.3
29.20, 73.5
33.53, 68.4
33.71, 55.4
34.17, 55.0

Structural model:
abc: 8.6983 9.7924 9.3255
angles: 90.00 90.47 90.00
Element x y z (fractional)
Sr 0.2495 0.0871 0.1146
Sr 0.2495 0.4129 0.6146
Sr 0.7505 0.5871 0.3854
Sr 0.7505 0.9129 0.8854
Ga 0.0689 0.6939 0.0536
Ga 0.0689 0.8061 0.5536
Ga 0.4326 0.0758 0.7351
Ga 0.4326 0.4242 0.2351
Ga 0.5674 0.5758 0.7649
Ga 0.5674 0.9242 0.2649
Ga 0.9311 0.1939 0.4464
Ga 0.9311 0.3061 0.9464
Ge 0.0619 0.0797 0.7420
Ge 0.0619 0.4203 0.2420
Ge 0.4400 0.6994 0.0569
Ge 0.4400 0.8006 0.5569
Ge 0.5600 0.1994 0.4431
Ge 0.5600 0.3006 0.9431
Ge 0.9381 0.5797 0.7580
Ge 0.9381 0.9203 0.2580
O 0.0173 0.0790 0.3090
O 0.0173 0.4210 0.8090
O 0.0663 0.6261 0.6184
O 0.0663 0.8739 0.1184
O 0.0701 0.1981 0.5998
O 0.0701 0.3019 0.0998
O 0.2445 0.0750 0.8294
O 0.2445 0.4250 0.3294
O 0.2609 0.6360 0.0014
O 0.2609 0.8640 0.5014
O 0.4254 0.1990 0.5853
O 0.4254 0.3010 0.0853
O 0.4337 0.6282 0.6163
O 0.4337 0.8718 0.1163
O 0.4807 0.0920 0.3064
O 0.4807 0.4080 0.8064
O 0.5193 0.5920 0.1936
O 0.5193 0.9080 0.6936
O 0.5663 0.1282 0.8837
O 0.5663 0.3718 0.3837
O 0.5746 0.6990 0.9147
O 0.5746 0.8010 0.4147
O 0.7391 0.1360 0.4986
O 0.7391 0.3640 0.9986
O 0.7555 0.5750 0.6706
O 0.7555 0.9250 0.1706
O 0.9299 0.6981 0.9002
O 0.9299 0.8019 0.4002
O 0.9337 0.1261 0.8816
O 0.9337 0.3739 0.3816
O 0.9827 0.5790 0.1910
O 0.9827 0.9210 0.6910

=====

(2)
This entry pairs a crystal structure of TbGaGe2O7 with its calculated powder XRD pattern. Radiation: Cu Ka. Structure: a crystal structure in the Materials Project, relaxed with PBE.

Largest 10 diffraction maxima, by angle, 10 to 90 degrees two-theta:
Position (°2θ), I (rel.)
15.53, 18.3
27.74, 100.0
29.69, 49.8
30.70, 25.2
31.46, 26.0
33.04, 23.8
36.02, 22.1
44.82, 16.0
47.99, 15.1
52.97, 14.9

Structural model:
abc: 7.2789 6.6181 12.8770
angles: 90.00 117.95 90.00
Element x y z (fractional)
Tb 0.2440 0.1431 0.4721
Tb 0.2440 0.3569 0.9721
Tb 0.7560 0.6431 0.0279
Tb 0.7560 0.8569 0.5279
Ga 0.2125 0.0995 0.7299
Ga 0.2125 0.4005 0.2299
Ga 0.7875 0.5995 0.7701
Ga 0.7875 0.9005 0.2701
Ge 0.2160 0.6576 0.4563
Ge 0.2160 0.8424 0.9563
Ge 0.2997 0.5889 0.7211
Ge 0.2997 0.9111 0.2211
Ge 0.7003 0.0889 0.7789
Ge 0.7003 0.4111 0.2789
Ge 0.7840 0.1576 0.0437
Ge 0.7840 0.3424 0.5437
O 0.0161 0.6556 0.9233
O 0.0161 0.8444 0.4233
O 0.1493 0.6888 0.1843
O 0.1493 0.8112 0.6843
O 0.2075 0.0556 0.8726
O 0.2075 0.4444 0.3726
O 0.2198 0.1098 0.2817
O 0.2198 0.3902 0.7817
O 0.2539 0.0023 0.0773
O 0.2539 0.4977 0.5773
O 0.4118 0.6723 0.9793
O 0.4118 0.8277 0.4793
O 0.4285 0.1257 0.6888
O 0.4285 0.3743 0.1888
O 0.5715 0.6257 0.8112
O 0.5715 0.8743 0.3112
- - -
# Here the page continues
I'm glad I stuffed the wrapper for one of our ponchos in my pocket during the downpour...I adhered it to the back of one of the 4x6 transparency pieces that comes with the collection kit, and made an extra page out of it. I used a washi tape strip and one of the foldover tabs on the back side to hold it in the album.
The last page tells the story about the ponchos...I love the graph design that is throughout the album. It unifies everything and makes journaling SIMPLE. After layering a few stickers together, this album was complete!
There are several neat items in the Interactive Elements from each collection...make sure to check them out for simple projects like this one. :)